Phase 2 update
As you can see from the photo we are getting ready for the drywall and insulation. We are excited about the progress! As the construction progresses the second story is becoming very quiet and comfortable. As we get these two steps completed, we will proceed into the phase where we start adding color such as painting the walls, laying down flooring and more. Our general contractor, Unlimited Carpentry, tells us their schedule indicates we should be complete at the end of December or beginning of January. Every stage gets inspected and mediated if needed.
We are making plans to have an open house where you can come and do a “walk through” of both Phase 1 downstairs and Phase 2 upstairs, once construction is completed and inspections are passed, This walk through will likely occur on a Saturday once everything has been finalized by the inspectors.
Ministry programs
Our ministry programs are in full swing now. English Language Class, MC club, and tutoring. We have a great crew of volunteers, working with passion in each of these programs. If you have an interest in helping, please reach out to us. Each program has room for growth in numbers of students as well as volunteers. However, we cannot grow the numbers of students in the programs without more volunteers. So, please consider the opportunity before you, and potentially before your church, to be involved in one of these programs.
We believe we have sufficient finances to complete Phase 2, as we await final cost adjustments. If you have been considering making a donation toward our reconstruction, an end of the year financial gift would be welcomed. Thank you for your faithfulness in donations for this project. Like all other nonprofit ministries, donations are down significantly compared to a year ago. We are so grateful to be where we are. As we look forward into Phase 3 and Phase 4, we are excited how God will supply those needs. It’s amazing what he has done!
[Misplaced materials data]
Entry 1:
## Cs8Sb2H (GGA-PBE)

Data for a geometry-optimized Cs8Sb2H structure.

The structure in POSCAR format:
```
Cs8Sb2H
1.0
10.0946 -3.3492 0.0000
10.0946 3.3492 0.0000
-1.7426 0.0000 11.2649
Cs Sb H
8 2 1
direct
0.0625 0.0625 0.2364 Cs
0.2084 0.2084 0.5795 Cs
0.3020 0.3020 0.9376 Cs
0.4232 0.4232 0.3442 Cs
0.5768 0.5768 0.6558 Cs
0.6980 0.6980 0.0624 Cs
0.7916 0.7916 0.4205 Cs
0.9375 0.9375 0.7636 Cs
0.2448 0.2448 0.2508 Sb
0.7552 0.7552 0.7492 Sb
0.0000 0.0000 0.5000 H
```

Results
Mass density in kg/m³: 2851
Crystal system: monoclinic
Volume in Å³ per cell: 761.7
Distance to the lowest polymorph of the same formula in meV/atom: 6.4



Entry 2:
## HfNiBi (GGA-PBE)

Data for a geometry-optimized HfNiBi structure.

The structure in POSCAR format:
```
HfNiBi
1.0
-1.6304 1.6304 13.0972
1.6304 -1.6304 13.0972
1.6304 1.6304 -13.0972
Hf Ni Bi
2 2 2
direct
0.1743 0.1743 0.0000 Hf
0.8257 0.8257 0.0000 Hf
0.2759 0.2759 0.0000 Ni
0.7241 0.7241 0.0000 Ni
0.4155 0.4155 0.0000 Bi
0.5845 0.5845 0.0000 Bi
```

Results
E_form in eV/f.u.: -0.8
Mass density in kg/m³: 10640
Crystal system: tetragonal
Volume in Å³ per cell: 139.3



Entry 3:
## Sm2ScTl3Te6 (GGA-PBE)

Data for a geometry-optimized Sm2ScTl3Te6 structure.

The structure in POSCAR format:
```
Sm2ScTl3Te6
1.0
3.8479 -6.6586 0.0000
3.8479 6.6586 0.0000
-2.5663 0.0000 8.1624
Sm Sc Tl Te
2 1 3 6
direct
0.1658 0.8342 0.0000 Sm
0.8342 0.1658 0.0000 Sm
0.5000 0.5000 0.0000 Sc
0.0000 0.0000 0.5000 Tl
0.3280 0.6720 0.5000 Tl
0.6720 0.3280 0.5000 Tl
0.1126 0.4299 0.7889 Te
0.2548 0.2548 0.2158 Te
0.4299 0.1126 0.7889 Te
0.5701 0.8874 0.2111 Te
0.7452 0.7452 0.7842 Te
0.8874 0.5701 0.2111 Te
```

Results
Mass density in kg/m³: 6846
Crystal system: monoclinic
Volume in Å³ per cell: 418.3
Formation energy without anion corrections in meV/atom: -1014
Prayer List
– Pray for Phyllis, our Executive Director, and for Keith Ray, our Interim Director, as they pilot the direction to Metanoia Center.
-Pray for our volunteers. They do amazing work. They do it self-sacrificially and with love and compassion.
Materials data, kept here for reference =
........
Record 1
# NbOs PBE relaxed
data_NbOs
_symmetry_space_group_name_H-M 'P 1'
_symmetry_Int_Tables_number 1
_cell_length_a 5.259
_cell_length_b 5.259
_cell_length_c 5.259
_cell_angle_alpha 90.00
_cell_angle_beta 90.00
_cell_angle_gamma 90.00
loop_
_symmetry_equiv_pos_as_xyz
'x,y,z'
loop_
_atom_site_label
_atom_site_type_symbol
_atom_site_fract_x
_atom_site_fract_y
_atom_site_fract_z
Nb1 Nb 0.000 0.000 0.000
Nb2 Nb 0.000 0.500 0.500
Nb3 Nb 0.500 0.000 0.500
Nb4 Nb 0.500 0.500 0.000
Os1 Os 0.000 0.000 0.500
Os2 Os 0.000 0.500 0.000
Os3 Os 0.500 0.000 0.000
Os4 Os 0.500 0.500 0.500
# - Volume: 18.18 A^3/atom
# - Energy: -10.01 eV per atom
# - Crystal system: cubic



Record 2
# Sr2NbP6Os PBE relaxed
data_Sr2NbP6Os
_symmetry_space_group_name_H-M 'P 1'
_symmetry_Int_Tables_number 1
_cell_length_a 7.471
_cell_length_b 7.471
_cell_length_c 7.471
_cell_angle_alpha 47.18
_cell_angle_beta 47.18
_cell_angle_gamma 47.18
loop_
_symmetry_equiv_pos_as_xyz
'x,y,z'
loop_
_atom_site_label
_atom_site_type_symbol
_atom_site_fract_x
_atom_site_fract_y
_atom_site_fract_z
Sr1 Sr 0.000 0.000 0.000
Sr2 Sr 0.497 0.497 0.497
Nb1 Nb 0.826 0.826 0.826
P1 P 0.090 0.090 0.475
P2 P 0.090 0.475 0.090
P3 P 0.475 0.090 0.090
P4 P 0.584 0.584 0.972
P5 P 0.584 0.972 0.584
P6 P 0.972 0.584 0.584
Os1 Os 0.323 0.323 0.323
# - Volume: 20.51 A^3/atom
# - Energy: -6.23 eV per atom
# - Crystal system: trigonal



Record 3
# PaNbOs PBE relaxed
data_PaNbOs
_symmetry_space_group_name_H-M 'P 1'
_symmetry_Int_Tables_number 1
_cell_length_a 6.471
_cell_length_b 6.471
_cell_length_c 6.471
_cell_angle_alpha 90.00
_cell_angle_beta 90.00
_cell_angle_gamma 90.00
loop_
_symmetry_equiv_pos_as_xyz
'x,y,z'
loop_
_atom_site_label
_atom_site_type_symbol
_atom_site_fract_x
_atom_site_fract_y
_atom_site_fract_z
Pa1 Pa 0.000 0.000 0.000
Pa2 Pa 0.000 0.500 0.500
Pa3 Pa 0.500 0.000 0.500
Pa4 Pa 0.500 0.500 0.000
Nb1 Nb 0.000 0.000 0.500
Nb2 Nb 0.000 0.500 0.000
Nb3 Nb 0.500 0.000 0.000
Nb4 Nb 0.500 0.500 0.500
Os1 Os 0.250 0.250 0.750
Os2 Os 0.250 0.750 0.250
Os3 Os 0.750 0.250 0.250
Os4 Os 0.750 0.750 0.750
# - ΔE to the lowest computed polymorph: 0.0000 eV/atom
# - Volume: 22.58 A^3/atom
# - Energy: -10.06 eV per atom
# - Crystal system: cubic


VASP calculation (PBE+U) on a relaxed structure of Li2PrCoF8.

Electronic total energy in eV/atom: -5.28
Magnetization in μB/cell: 2.0

a = 4.485 Å, b = 5.017 Å, c = 7.116 Å
α = 88.24°, β = 88.62°, γ = 79.73°
Fractional coordinates of all 12 atoms:
Li 0.096 0.088 0.222
Li 0.904 0.912 0.778
Pr 0.500 0.500 0.500
Co 0.500 0.500 0.000
F 0.144 0.228 0.463
F 0.230 0.276 0.006
F 0.298 0.729 0.224
F 0.311 0.712 0.792
F 0.689 0.288 0.208
F 0.702 0.271 0.776
F 0.770 0.724 0.994
F 0.856 0.772 0.537


A plane-wave DFT calculation with PBE was carried out for an optimized crystal structure of Mn8NbMo3.

Lattice parameters (Å, degrees): 4.7369 4.7369 7.7829 90.00 90.00 120.00
Space group P3m1 (No. 156)
One atom of each set of equivalent atoms:
Mn 0.0000 0.0000 0.0000 x1
........
-Pray for those doing the construction work on Phase 2, that we would have opportunity to engage the workers in gospel discussions.
-Continue to pray for our ALS journey. There are new challenges all the time. Phyllis will post any major changes or updates on the CaringBridge site,, Jim Null’s ALS Journey. For now, you can know that my muscles continue to weaken, and many have stopped working. We have been praying for the electric wheelchair that has been custom designed for me. The custom design work is greatly beneficial because I’m a tall guy and they don’t stock equipment for tall people. We were told it can take up to 120 days to receive the chair. We just recently learned my chair will be here and in my possession in 50 days, November 16! Thanks to everyone who joined us in praying for it’s quick arrival!
• Misplaced records of crystals:
An optimized crystal structure of BaNa2I2, computed with GGA-PBE.

Unit cell a=11.4589 b=11.4589 c=11.4589 alpha=157.56 beta=157.56 gamma=31.95
Fractional coordinates of all 5 atoms:
Ba  0.0000  0.0000  0.0000
Na  0.2500  0.7500  0.5000
Na  0.7500  0.2500  0.5000
I  0.4123  0.4123  0.0000
I  0.5877  0.5877  0.0000

- Formation energy from raw total energies: -0.8796 eV/atom
- Relative energy among the computed polymorphs: 0.0 kJ per mole of atoms


An optimized crystal structure of Fe2PdW, computed with GGA-PBE.

Unit cell a=3.8238 b=3.8238 c=3.5893 alpha=90.00 beta=90.00 gamma=90.00
Fractional coordinates of all 4 atoms:
Fe  0.0000  0.5000  0.0000
Fe  0.5000  0.0000  0.0000
Pd  0.0000  0.0000  0.5000
W  0.5000  0.5000  0.5000

- Formation energy: 0.112 eV per atom
- Relative energy among the computed polymorphs: 0.0 kJ per mole of atoms


An optimized crystal structure of Ni2HgAu2, computed with GGA-PBE.

Unit cell a=6.8922 b=6.8922 c=3.4437 alpha=90.00 beta=90.00 gamma=90.00
Fractional coordinates of all 10 atoms:
Ni  0.1307  0.3693  0.0000
Ni  0.3693  0.8693  0.0000
Ni  0.6307  0.1307  0.0000
Ni  0.8693  0.6307  0.0000
Hg  0.0000  0.0000  0.0000
Hg  0.5000  0.5000  0.0000
Au  0.1606  0.6606  0.5000
Au  0.3394  0.1606  0.5000
Au  0.6606  0.8394  0.5000
Au  0.8394  0.3394  0.5000

- Formation energy: 0.171 eV per atom
- Relative energy among the computed polymorphs: 0.0 kJ per mole of atoms


An optimized crystal structure of Pm2BiPt, computed with GGA-PBE.

Unit cell a=5.3332 b=5.3332 c=5.3332 alpha=60.00 beta=60.00 gamma=60.00
Fractional coordinates of all 4 atoms:
Pm  0.2500  0.2500  0.2500
Pm  0.7500  0.7500  0.7500
Bi  0.0000  0.0000  0.0000
Pt  0.5000  0.5000  0.5000

- Formation energy: -0.758 eV per atom
- Relative energy among the computed polymorphs: 13.3 kJ per mole of atoms


An optimized crystal structure of Sr2Li9Cd, computed with GGA-PBE.

Unit cell a=10.0854 b=10.0854 c=10.0854 alpha=34.98 beta=34.98 gamma=34.98
Fractional coordinates of all 12 atoms:
Sr  0.1315  0.1315  0.1315
Sr  0.8685  0.8685  0.8685
Li  0.0745  0.5779  0.5779
Li  0.3337  0.3337  0.3337
Li  0.4221  0.4221  0.9255
Li  0.4221  0.9255  0.4221
Li  0.5000  0.5000  0.5000
Li  0.5779  0.0745  0.5779
Li  0.5779  0.5779  0.0745
Li  0.6663  0.6663  0.6663
Li  0.9255  0.4221  0.4221
Cd  0.0000  0.0000  0.0000

- Formation energy: 0.034 eV per atom


An optimized crystal structure of La3Zn5Ni6, computed with GGA-PBE.
About Us
Jim and Phyllis are faith-based independent missionaries commissioned by Faith Bible Church, Cincinnati, Ohio serving with the Metanoia Center. Donations to their ministry may be made through the Metanoia Center, 113 N. Wayne Ave., Lockland, OH, 45215 or online by visiting If sent by postal mail, please include a note with your donation indicating your desire to direct it to Jim and Phyllis Null’s Ministry Area. The Metanoia Center is recognized by the IRS as a 501c3 organization, thus your donation is eligible to be considered for tax exemption – please consult with your tax professional for details.
Jim and Phyllis
Galatians 2:20